Business Mileage

07 March 2017

Peter Moroz explores the issue of mileage allowances and electric cars

It seemed like a simple question from a client. 

Materials data, kept here for reference =
/*
Entry from Alexandria: an optimized crystal structure of NiIrPd2Se6 (GGA-PBE).

```
20
Lattice="5.371 -5.950 0.000 5.371 5.950 0.000 -2.407 0.000 6.125" Properties=species:S:1:pos:R:3 pbc="T T T"
Ni 3.566 3.203 4.594
Ni 4.769 -3.203 1.531
Ir 4.769 4.969 1.531
Ir 3.566 -4.969 4.594
Pd 3.377 0.995 1.621
Pd 2.174 -0.995 4.684
Pd 6.162 0.995 1.441
Pd 4.958 -0.995 4.504
Se 0.934 0.943 0.960
Se 2.988 3.408 2.164
Se -0.270 -0.943 4.022
Se 2.118 1.427 5.393
Se 6.550 3.408 0.899
Se 5.014 1.427 3.794
Se 3.321 -1.427 2.331
Se 1.785 -3.408 5.226
Se 6.218 -1.427 0.732
Se 8.605 0.943 2.103
*/

“How much can I pay an employee for his business mileage without causing a tax problem?”

I had advised the client on their car policy and the impact of the new salary sacrifice rules so in comparison this should be easy!
We were dealing with a company car driver so clearly we could not use the AMAPs rate of 45p per mile for the first 10,000 miles. So, was this just a question of looking at the latest HMRC Advisory Fuel Rates (AFR)? That sounds simple enough. 

Hang on though; they were asking about an electric car! It is not a hybrid so we cannot use the AFR figures. There followed a little bit more detailed research into the HMRC manuals on the site. From that it is easy to discern firstly that, despite what the laws of physics dictate and what my electricity provider believes, in the view of the tax statutes electricity is not a fuel. 

The upshot of electricity not being regarded as a fuel is that there is no fuel scale charge for a company electric car where the electricity is provided by the employer. There is quite a lot of information in the manuals on what happens if the employer chooses to install a charging station at the home of the company car driver. However, all my client wanted to know was what mileage rate should they pay the driver for business mileage? They had no interest in installing a charging station or indeed for paying the electricity bill of the driver direct. There was no help in the manuals on the simple question of mileage rate other than to say you could not use the AFR figures although there is detail on how an employer can pay for a charge card of £100 per year to allow the driver unlimited access to local authority charging points. 

# Materials data from another source follow
First-principles (PBE) data for a relaxed ErSc3Pb2 crystal, as listed in Alexandria.

Cell lengths 7.9551, 7.9551, 4.1989 Å; angles 90.00, 90.00, 145.55 degrees
Element x y z (fractional)
Er 0.0000 0.0000 0.0000
Sc 0.1752 0.8248 0.5000
Sc 0.5000 0.5000 0.5000
Sc 0.8248 0.1752 0.5000
Pb 0.3481 0.6519 0.0000
Pb 0.6519 0.3481 0.0000

Output
The energy above the most stable polymorph in this dataset comes out at 0.047 eV per atom. For the calculated total energy, the calculation gives -32.81 eV/cell. Its space group is No. 65.

First-principles (PBE) data for a relaxed K2TbCeTe4 crystal, as listed in Alexandria.

Cell lengths 7.9484, 4.5882, 8.6443 Å; angles 90.00, 107.80, 90.00 degrees
Element x y z (fractional)
K 0.0000 0.0000 0.0000
K 0.5000 0.5000 0.0000
Tb 0.0000 0.5000 0.5000
Ce 0.5000 0.0000 0.5000
Te 0.2299 0.0000 0.7100
Te 0.2556 0.5000 0.2871
Te 0.7444 0.5000 0.7129
Te 0.7701 0.0000 0.2900

Output
The value obtained for the uncorrected formation energy is -1059 kJ/mol of formula units. For the calculated total energy, the calculation gives -36.30 eV/cell. Its space group is No. 10.

First-principles (PBE) data for a relaxed Dy6As2HSe3 crystal, as listed in Alexandria.

Cell lengths 8.9993, 8.9993, 8.0803 Å; angles 104.22, 104.22, 26.06 degrees
Element x y z (fractional)
Dy 0.0018 0.0018 0.2589
Dy 0.3302 0.3302 0.9230
Dy 0.3425 0.3425 0.4176
Dy 0.6575 0.6575 0.5824
Dy 0.6698 0.6698 0.0770
Dy 0.9982 0.9982 0.7411
As 0.1631 0.1631 0.8290
As 0.8369 0.8369 0.1710
H 0.5000 0.5000 0.5000
Se 0.1719 0.1719 0.3348
Se 0.5000 0.5000 0.0000
Se 0.8281 0.8281 0.6652

Output
For the calculated total energy, the calculation gives -67.73 eV/cell. Its space group is No. 12.

| no. | D(E_F) (states/eV/cell) |
| --- | --- |
| 1 | 6.61 |
| 2 | 6.24 |
| 3 | 6.14 |


No. 1
This record from Alexandria via LeMat-Bulk describes a crystal of SrAuO2 relaxed with PBEsol. The functional is SCAN.

Results
- Final energy: -221.65 eV per cell
- Density of states at the Fermi level: 0.0 states/eV/cell
- Magnetization: 0.00 μB/f.u.

POSCAR file:
```
SrAuO2
1.0
3.5280 -4.8938 0.0000
3.5280 4.8938 0.0000
-0.0027 0.0000 3.6038
Sr Au O
2 2 4
direct
0.0000 0.5000 0.0000
0.5000 0.0000 0.0000
0.0000 0.0000 0.5000
0.5000 0.5000 0.5000
0.2069 0.7931 0.5000
0.2515 0.2515 0.2256
0.7485 0.7485 0.7744
0.7931 0.2069 0.5000
```

***

No. 2
This record from Alexandria via LeMat-Bulk describes a crystal of FeReIr2 relaxed with PBEsol. The functional is SCAN.

Results
- Density of states at the Fermi level: 3.2 states/eV/cell
- Energy above the lowest structure with this stoichiometry: 0.0304 eV/atom
- Energy relative to the elements: -0.80 eV/f.u.
- Magnetization: 2.25 μB/f.u.

POSCAR file:
```
FeReIr2
1.0
2.6979 0.0000 0.0000
0.0000 4.2389 0.0000
0.0000 0.0000 4.6822
Fe Re Ir
1 1 2
direct
0.0000 0.0000 0.0000
0.0000 0.5000 0.3219
0.5000 0.0000 0.4973
0.5000 0.5000 0.8423
```

***

No. 3

It seemed a simple enough request though: “What’s the rate per mile?”

The only option available is, it would appear, to base a mileage rate on actual expenses. This of course seems ridiculous when we have mileage rates available for every other category of driver.

The question had now shifted from one being a simple tax question to one of analysing exactly what the cost of energy was and indeed an analysis of the transfer of electricity from grid to battery. It is hard to get details on the exact energy efficiency of electric vehicles but most independent data hints that a figure of about 80% is reasonable,  i.e. it takes 100 kWhours of electricity from the electricity meter to put 80 kWhours of energy into the car battery with the difference being lost as heat in the battery/connections used. 

Further research shows that a Tesla Model S has an 85kWHour capacity battery with a quoted range of 265 miles. So, I would need about 106.25 kWhours to charge it. 

My electricity cost is 14.22p per kWhour excl. VAT at the reduced 5% rate and excluding any standing charge. This means that a full charge costs 106.25 x 14.22 x 1.05 = £15.86.

Based on the quoted range of 265 miles (which might be a bit generous) this then equates to approx. 6 pence per mile.

_Attached: crystal structures_
Compound: Cs3MoOs
Source: the Alexandria database
Functional: meta-GGA SCAN
Structure: single point on PBEsol structure

POSCAR file:
```
Cs3MoOs
1.0
-2.872 -4.381 2.250
3.778 -3.630 -2.246
3.159 0.360 4.732
Cs Mo Os
3 1 1
Direct
0.000 0.500 0.000
0.000 0.000 0.500
0.500 0.000 0.000
0.000 0.000 0.000
0.500 0.500 0.500
```

## Properties
DFT formation energy	2.440	eV per atom
space-group type	Pm-3m, No. 221



Compound: CaGaRhS2
Source: the Alexandria database
Functional: meta-GGA SCAN
Structure: single point on PBEsol structure

POSCAR file:
```
CaGaRhS2
1.0
-4.040 -1.928 0.203
1.967 -3.904 2.076
-0.716 1.961 4.366
Ca Rh S Ga
1 1 2 1
Direct
0.500 0.500 0.500
0.000 0.000 0.000
0.000 0.000 0.500
0.000 0.500 0.000
0.500 0.000 0.000
```

## Properties
space-group type	P4/mmm, No. 123
formation energy (no corrections)	-0.589	eV per atom



Compound: MnPt2Br
Source: the Alexandria database
Functional: meta-GGA SCAN
Structure: single point on PBEsol structure

POSCAR file:
```
MnPt2Br
1.0
2.927 0.000 0.000
0.000 4.833 -0.019
0.000 -1.584 4.566
Br Mn Pt
1 1 2
Direct
0.500 0.000 0.000
0.500 0.500 0.500
0.000 0.500 0.000
0.000 0.000 0.500
```

## Properties
space-group type	Cmmm, No. 65
formation energy (no corrections)	0.316	eV per atom



Compound: Tl5Cd4
Source: the Alexandria database
Functional: meta-GGA SCAN
Structure: single point on PBEsol structure

POSCAR file:
```
Tl5Cd4
1.0
-1.464 -2.268 -3.921
-1.078 -7.034 1.581
-7.279 0.240 -0.311
Cd Tl
4 5
Direct
0.000 0.653 0.347
0.000 0.347 0.653
0.653 0.347 0.347
0.347 0.653 0.653
0.000 0.000 0.000
0.671 0.000 0.659
0.329 0.000 0.341
0.671 0.659 0.000
0.329 0.341 0.000
```

## Properties
DFT formation energy	0.071	eV per atom
energy relative to the lowest polymorph listed for this composition	0	meV/atom
space-group type	I4/mmm, No. 139



Compound: AlCr2Cl
Source: the Alexandria database
Functional: meta-GGA SCAN
Structure: single point on PBEsol structure

POSCAR file:
```
AlCr2Cl
1.0
-3.364 1.184 2.338
-0.849 -2.334 -3.929
-1.182 -4.082 0.366
Cr Al Cl
2 1 1
Direct
0.250 0.500 0.250
0.750 0.500 0.750
0.500 0.000 0.500
0.000 0.000 0.000
```

## Properties
energy relative to the lowest polymorph listed for this composition	511	meV/atom
space-group type	I4/mmm, No. 139
formation energy (no corrections)	0.364	eV per atom



Compound: CsCaP3O9
Source: the Alexandria database
Functional: meta-GGA SCAN
Structure: single point on PBEsol structure

POSCAR file:
```
CsCaP3O9
1.0
-6.629 -3.054 -2.053
3.003 -0.138 -9.489
4.820 -11.603 1.693
Cs Ca P O
4 4 12 36
Direct
0.750 0.604 0.086
0.750 0.104 0.414
0.250 0.396 0.914
0.250 0.896 0.586
0.250 0.513 0.222
0.250 0.013 0.278
0.750 0.487 0.778
0.750 0.987 0.722
0.052 0.751 0.852
0.448 0.251 0.648
0.552 0.249 0.148
0.948 0.749 0.352
0.948 0.249 0.148
0.552 0.749 0.352
0.448 0.751 0.852
0.052 0.251 0.648
0.250 0.788 0.043
0.250 0.288 0.457
0.750 0.212 0.957
0.750 0.712 0.543
0.085 0.821 0.964
0.415 0.321 0.536
0.585 0.179 0.036
0.915 0.679 0.464
0.915 0.179 0.036
_Back to the text_

I do not mind a bit of mathematics but, for those who do not, it would be great if something could be found on the HMRC website to endorse these calculations.